== Brief ==
Now type out the contents underneath from the first line to the one with "choice 2)" word for word.

== Listing ==
+++
Computed powder X-ray diffraction pattern of CdFe5N4 for Cu Kα, from DFT lattice parameters and positions (GGA-PBE).
Intensities are scaled so that the largest is 100.

Most intense lines, 10° ≤ 2θ ≤ 90°, most intense first:
two_theta	d_spacing	I_rel
40.10	2.249	100
38.16	2.358	92
39.93	2.258	81
56.81	1.621	45
38.69	2.327	45
70.04	1.343	44
44.15	2.051	19
27.52	3.241	18
82.18	1.173	18
47.98	1.896	17
21.95	4.049	14
41.79	2.162	14

Cell and atoms:
a b c (Å): 5.4085 8.2058 4.6549
angles (deg): 90.00 90.00 90.00
Space group Pmmn (No. 59, origin choice 2)
Asymmetric unit:
Cd  0.2500  0.2500  0.1944 (multiplicity 2)
Fe  0.0045  0.5515  0.2379 (multiplicity 8)
Fe  0.2500  0.7500  0.6460 (multiplicity 2)
N  0.0100  0.7500  0.3621 (multiplicity 4)
N  0.2500  0.5751  0.9405 (multiplicity 4)

=====

1.
Diffraction record for BeIn2. The X-ray diffraction stick pattern is calculated, not measured: it uses the PBE geometry in Alexandria and Cu Kα, 1.54184 Å.

Largest 8 diffraction maxima, by angle, 10° ≤ 2θ ≤ 90°:
hkl 1 0 1, 2θ = 27.39°, rel. 131
hkl 0 0 2, 2θ = 29.13°, rel. 140
hkl 1 2 1, 2θ = 32.16°, rel. 1000
hkl 0 4 0, 2θ = 33.45°, rel. 257
hkl 0 2 2, 2θ = 33.68°, rel. 248
hkl 1 1 2, 2θ = 38.49°, rel. 108
hkl 2 0 0, 2θ = 47.30°, rel. 113
hkl 1 6 1, 2θ = 58.98°, rel. 145

Structural model:
a = 3.844 Å, b = 10.716 Å, c = 6.131 Å
α = 90.00°, β = 90.00°, γ = 90.00°
Space group Imm2 (No. 44)
One atom of each set of equivalent atoms:
Be  0.000  0.104  0.000 x4
In  0.000  0.000  0.376 x2
In  0.000  0.265  0.691 x4
In  0.000  0.500  0.271 x2

---

2.
Diffraction record for MgAs2F8. The X-ray diffraction stick pattern is calculated, not measured: it uses the PBE geometry in Alexandria and Cu Kα, 1.54184 Å.

Largest 8 diffraction maxima, by angle, 10° ≤ 2θ ≤ 90°:
hkl 1 1 0, 2θ = 16.60°, rel. 568
hkl 2 0 -2, 2θ = 17.85°, rel. 721
hkl 1 1 1, 2θ = 21.18°, rel. 826
hkl 3 1 -1, 2θ = 24.27°, rel. 1000
hkl 1 1 -3, 2θ = 31.01°, rel. 373
hkl 6 0 -2, 2θ = 38.67°, rel. 336
hkl 2 2 -3, 2θ = 40.11°, rel. 305
hkl 0 2 3, 2θ = 42.99°, rel. 341

Structural model:
a = 13.991 Å, b = 5.948 Å, c = 10.305 Å
α = 90.00°, β = 119.94°, γ = 90.00°
Space group C2/c (No. 15)
One atom of each set of equivalent atoms:
Mg  0.000  0.138  0.250 x4
As  0.131  0.164  0.630 x8
F  0.011  0.135  0.903 x8
F  0.057  0.321  0.434 x8
F  0.151  0.052  0.296 x8
F  0.152  0.409  0.738 x8

---

3.
Diffraction record for Y6Al2Zn. The X-ray diffraction stick pattern is calculated, not measured: it uses the PBE geometry in Alexandria and Cu Kα, 1.54184 Å.

Largest 8 diffraction maxima, by angle, 10° ≤ 2θ ≤ 90°:
hkl 1 2 -2, 2θ = 27.55°, rel. 205
hkl 0 2 2, 2θ = 27.90°, rel. 223
hkl 1 0 2, 2θ = 30.58°, rel. 305
hkl 2 1 -2, 2θ = 31.42°, rel. 301
hkl 1 1 2, 2θ = 32.34°, rel. 253
hkl 2 1 -3, 2θ = 33.59°, rel. 336
hkl 1 3 -1, 2θ = 34.60°, rel. 1000
hkl 0 2 3, 2θ = 35.07°, rel. 208

Structural model:
a = 6.057 Å, b = 8.614 Å, c = 10.874 Å
α = 90.00°, β = 118.63°, γ = 90.00°
Space group P2_1/c (No. 14)
One atom of each set of equivalent atoms:
Y  0.043  0.169  0.436 x4
Y  0.354  0.675  0.438 x4
Y  0.397  0.029  0.289 x4
Al  0.174  0.131  0.750 x4
Zn  0.000  0.000  0.000 x2

---

4.
Diffraction record for K2SrAsSe4. The X-ray diffraction stick pattern is calculated, not measured: it uses the PBE geometry in Alexandria and Cu Kα, 1.54184 Å.

Largest 8 diffraction maxima, by angle, 10° ≤ 2θ ≤ 90°:
hkl 0 1 1, 2θ = 11.71°, rel. 375
hkl 0 0 4, 2θ = 28.55°, rel. 518
hkl 2 2 0, 2θ = 28.94°, rel. 1000
hkl 2 3 1, 2θ = 36.74°, rel. 141
hkl 0 4 0, 2θ = 37.97°, rel. 168
hkl 2 2 4, 2θ = 41.10°, rel. 656
hkl 4 0 0, 2θ = 44.60°, rel. 163
hkl 4 0 4, 2θ = 53.81°, rel. 173

Structural model:
a = 8.127 Å, b = 9.478 Å, c = 12.508 Å
α = 90.00°, β = 90.00°, γ = 90.00°
Space group Imma (No. 74)
One atom of each set of equivalent atoms:
K  0.000  0.000  0.000 x4
K  0.250  0.250  0.250 x4
Sr  0.000  0.000  0.500 x4
As  0.250  0.250  0.750 x4
Se  0.000  0.052  0.747 x8
Se  0.237  0.250  0.527 x8

---

5.
+++

== Outcome ==
Computed powder X-ray diffraction pattern of CdFe5N4 for Cu Kα, from DFT lattice parameters and positions (GGA-PBE).
Intensities are scaled so that the largest is 100.

Most intense lines, 10° ≤ 2θ ≤ 90°, most intense first:
two_theta	d_spacing	I_rel
40.10	2.249	100
38.16	2.358	92
39.93	2.258	81
56.81	1.621	45
38.69	2.327	45
70.04	1.343	44
44.15	2.051	19
27.52	3.241	18
82.18	1.173	18
47.98	1.896	17
21.95	4.049	14
41.79	2.162	14

Cell and atoms:
a b c (Å): 5.4085 8.2058 4.6549
angles (deg): 90.00 90.00 90.00
Space group Pmmn (No. 59, origin choice 2)